Nobel Prize-winning columnist Paul Krugman covers the economic events of the 21st century so far.

Comprehensible Economics
Nobel Prize-winning economist Paul Krugman, a professor at the City University of New York, is also a columnist for The New York Times. In this bestselling collection of his essays on an array of topics, Krugman skewers the “zombies” who make false or misleading claims about the economy.
In 21st-century America…accepting what the evidence says about an economic question will be seen as a partisan act.Paul Krugman
The Washington Post called this “a revelation [that] showcases Krugman’s intelligence and gift for clear, accessible writing.” The Atlantic, however, raised an intriguing question: “How [did] so talented and fortunate an author…develop such a furious and bitter voice?” The answer: Krugman, once an apolitical technocrat, “contends he didn’t change. Politics did.”
Social Security
President George W. Bush secured re-election mostly because of his image as a hero in his response to the September 11, 2001, attacks, Krugman claims. Bush sought to privatize Social Security, as elites charged it was on the cusp of economic collapse.
- - -
1.
For Lu4AlNi2Ge4, DFT lattice parameters and positions (GGA-PBE) gives the simulated PXRD pattern in this record (copper Kα).

Main lines, low angle first (2θ from 10° to 90°):
hkl 1 1 0, 4.011 Å, 22.16°, I = 18; hkl 4 0 0, 3.560 Å, 25.02°, I = 13; hkl 3 1 1, 2.619 Å, 34.23°, I = 43; hkl 3 1 -2, 2.535 Å, 35.41°, I = 61; hkl 6 0 -1, 2.497 Å, 35.97°, I = 17; hkl 1 1 2, 2.422 Å, 37.12°, I = 100; hkl 5 1 0, 2.354 Å, 38.24°, I = 20; hkl 0 2 0, 2.090 Å, 43.29°, I = 37; hkl 9 1 -1, 1.544 Å, 59.90°, I = 14; hkl 4 2 3, 1.288 Å, 73.56°, I = 15

Atomic structure:
Cell: 15.001 4.180 6.841 Å, 90.00 108.34 90.00°
Space group C2/m (No. 12)
Symmetry-distinct sites (fractional):
Lu 0.090 0.000 0.390 x4
Lu 0.154 0.000 0.938 x4
Al 0.000 0.500 0.000 x2
Ni 0.218 0.500 0.641 x4
Ge 0.064 0.500 0.671 x4
Ge 0.197 0.500 0.258 x4


2.
For Sm3Zn2Si4Pd2, DFT lattice parameters and positions (GGA-PBE) gives the simulated PXRD pattern in this record (copper Kα).

Main lines, low angle first (2θ from 10° to 90°):
hkl 0 1 3, 3.756 Å, 23.69°, I = 20; hkl 1 0 7, 2.686 Å, 33.36°, I = 38; hkl 1 1 4, 2.647 Å, 33.87°, I = 100; hkl 0 1 9, 2.323 Å, 38.77°, I = 12; hkl 0 2 0, 2.102 Å, 43.03°, I = 21; hkl 2 0 0, 2.029 Å, 44.67°, I = 19; hkl 0 1 11, 2.004 Å, 45.25°, I = 21; hkl 1 2 7, 1.655 Å, 55.52°, I = 17; hkl 2 2 0, 1.460 Å, 63.76°, I = 13; hkl 2 1 11, 1.426 Å, 65.47°, I = 14

Atomic structure:
Cell: 4.057 4.204 25.080 Å, 90.00 90.00 90.00°
Space group Immm (No. 71)
Symmetry-distinct sites (fractional):
Sm 0.000 0.000 0.000 x2
Sm 0.000 0.500 0.146 x4
Zn 0.000 0.000 0.250 x4
Si 0.000 0.000 0.453 x4
Si 0.000 0.500 0.310 x4
Pd 0.000 0.500 0.405 x4


3.
For ErTmAl2I2, DFT lattice parameters and positions (GGA-PBE) gives the simulated PXRD pattern in this record (copper Kα).

Main lines, low angle first (2θ from 10° to 90°):
hkl 0 0 2, 5.993 Å, 14.78°, I = 31; hkl 1 0 0, 3.689 Å, 24.13°, I = 15; hkl 1 0 1, 3.525 Å, 25.26°, I = 63; hkl 1 0 2, 3.141 Å, 28.41°, I = 33; hkl 1 0 3, 2.710 Å, 33.05°, I = 100; hkl 1 1 0, 2.130 Å, 42.45°, I = 43; hkl 0 1 5, 2.009 Å, 45.14°, I = 27; hkl 0 2 3, 1.674 Å, 54.83°, I = 24; hkl 1 1 6, 1.457 Å, 63.90°, I = 24; hkl 2 1 3, 1.316 Å, 71.70°, I = 21

Atomic structure:
Cell: 4.2592 4.2592 11.9851 Å, 90.00 90.00 120.00°
Space group P3m1 (No. 156)
Symmetry-distinct sites (fractional):
Er 0.0000 0.0000 0.0000 x1
Tm 0.0000 0.0000 0.6660 x1
Al 0.3333 0.6667 0.8496 x1
Al 0.6667 0.3333 0.8150 x1
I 0.3333 0.6667 0.5052 x1
I 0.6667 0.3333 0.1620 x1


4.
- - -
Very little of the privatizers’ position is honest. They came to bury Social Security, not to save it.Paul Krugman
But, Krugman points out, in 2004, Social Security’s trustees said that the system was financially stable and that minor investments would keep it steady for 75 years. The privatization of Social Security did not happen, Krugman celebrates, because the American people opposed it.
Obamacare Succeeded
Krugman notes that, in 2009 and 2010, Democrats, who then controlled both houses of Congress, passed the Affordable Care Act (ACA) or Obamacare. The author points out that the ACA provides health care insurance to millions of people who had neither private employer plans, Medicaid or Medicare.
Democratic reform plans deliberately left as much as possible of the existing health care system in place.Paul Krugman
But he writes that much political opposition to the ACA is cynical, as conservatives attack specific provisions to chip away at its foundations and bring about its collapse. Even so, Krugman explains, the ACA continues to work remarkably well.
The Asian Financial Crisis
== Inserted here: calculated crystals ==
********
For NaSrCr2O8, a structure optimized by DFT (PBE+U) gives the calculated X-ray powder pattern in this record (λ = 1.5418 Å (Cu Kα)).
Neutral-atom scattering factors, no anomalous dispersion.

Cell and atoms:
```
NaSrCr2O8
1.0
2.784 1.607 6.486
-2.784 1.607 6.486
0.000 -3.214 6.486
Na Sr Cr O
1 1 2 8
direct
0.000 0.000 0.000
0.500 0.500 0.500
0.241 0.241 0.241
0.759 0.759 0.759
0.045 0.676 0.481
0.156 0.156 0.156
0.324 0.519 0.955
0.481 0.045 0.676
0.519 0.955 0.324
0.676 0.481 0.045
0.844 0.844 0.844
0.955 0.324 0.519
```

The 10 most intense peaks (2θ from 15° to 90°), in order of rising 2θ:
18.96°, d = 4.680 Å, I = 15; 26.02°, d = 3.424 Å, I = 100; 32.16°, d = 2.784 Å, I = 61; 35.08°, d = 2.558 Å, I = 44; 41.59°, d = 2.172 Å, I = 35; 41.82°, d = 2.160 Å, I = 24; 53.71°, d = 1.707 Å, I = 22; 57.33°, d = 1.607 Å, I = 20; 63.82°, d = 1.458 Å, I = 15; 66.76°, d = 1.401 Å, I = 13


This entry pairs a crystal structure of Sc8MnNi2 with its theoretical X-ray diffraction stick pattern. Radiation: Cu Kα. Structure: a structure optimized by DFT (GGA-PBE).
Lines closer than 0.1° are merged.

The 10 most intense peaks (2θ = 10–80°), low angle first:
(1 1 0), 2θ = 22.28°, rel. 121
(0 3 1), 2θ = 36.23°, rel. 133
(1 1 4), 2θ = 37.28°, rel. 330
(1 2 3), 2θ = 37.75°, rel. 1000
(2 0 0), 2θ = 38.41°, rel. 358
(1 3 2), 2θ = 43.26°, rel. 95
(0 0 6), 2θ = 44.90°, rel. 101
(0 4 0), 2θ = 47.88°, rel. 86
(3 2 3), 2θ = 69.03°, rel. 144
(2 3 7), 2θ = 78.39°, rel. 84

Cell and atoms:
```
data_Sc8MnNi2
_symmetry_space_group_name_H-M 'I m m m'
_symmetry_Int_Tables_number 71
_symmetry_space_group_name_Hall '-I 2 2'
_cell_length_a 4.6872
_cell_length_b 7.5987
_cell_length_c 12.1130
_cell_angle_alpha 90.00
_cell_angle_beta 90.00
_cell_angle_gamma 90.00
loop_
_atom_site_label
_atom_site_fract_x
_atom_site_fract_y
_atom_site_fract_z
Sc1 0.0000 0.0000 0.1300
Sc2 0.0000 0.2223 0.3434
Sc3 0.0000 0.3302 0.0000
Mn1 0.0000 0.5000 0.5000
Ni1 0.0000 0.5000 0.2000
```


# 1
The following is a simulated powder diffractogram of LaGdGa2Br2. It was derived from a PBE-relaxed structure, using Cu Kα (weighted mean of Kα1 and Kα2).
Lines closer than 0.1° are merged.

Principal peaks in the range 2θ from 10° to 90°, by angle:
24.22 deg, rel. 118, hkl 1 0 0; 25.45 deg, rel. 209, hkl 1 0 1; 28.82 deg, rel. 697, hkl 1 0 2; 33.77 deg, rel. 1000, hkl 1 0 3; 42.62 deg, rel. 527, hkl 1 1 0; 46.53 deg, rel. 241, hkl 0 1 5; 52.27 deg, rel. 131, hkl 0 2 2; 55.45 deg, rel. 239, hkl 0 2 3; 65.59 deg, rel. 168, hkl 1 1 6; 72.36 deg, rel. 214, hkl 2 1 3

Structure:
```
LaGdGa2Br2
1.0
4.2424 0.0000 0.0000
-2.1212 3.6740 0.0000
0.0000 0.0000 11.5188
La Gd Ga Br
1 1 2 2
Direct
0.0000 0.0000 0.0000
0.0000 0.0000 0.6333
0.3333 0.6667 0.8401
0.6667 0.3333 0.7834
0.3333 0.6667 0.4830
0.6667 0.3333 0.1631
```


# 2
The following is a simulated powder diffractogram of PrDyCN2O2. It was derived from a PBE-relaxed structure, using Cu Kα (weighted mean of Kα1 and Kα2).
Lines closer than 0.1° are merged.
********
Krugman highlights that, in the mid-1990s, most economists believed fiscal and regulatory policy tools developed during the 1930s Great Depression had conquered the risks of deep economic downturns. But in the late 1990s, he reports, financial panics erupted in Thailand, Malaysia, Indonesia and South Korea, and then around the globe. Japan’s economy slid into a decades-long recession characterized by stagnation and deflation. The Asian crisis, Krugman asserts, was a forewarning.
By 2005, the US housing boom was clearly a bubble. If the housing market collapsed, the author explains, the economy would slide into recession. Krugman believes that not even professionals understood the financial system’s complexities – and that this led to the 2008 crisis. For example, the creators of collateralized debt obligations sold their products supposedly to mitigate risk. Instead, Krugman writes bitterly, they made investment bankers wealthy as investors gambled on securities they didn’t understand.
Experience after 2008 was an intellectual triumph for macroeconomic analysis. It was, to be sure, a bittersweet triumph.Paul Krugman
The American Recovery and Reinvestment Act stemmed the loss of jobs and, Krugman avows, proved that large deficits do not raise interest rates and that central bank monetary expansion does not cause inflation.
Fiscal Austerity
Early in the 2008 crisis, governments around the world spent to stimulate their economies and, Krugman demonstrates, ran up deficits.
For the first year of the global financial crisis, economic policy in major economies generally moved in the right direction.Paul Krugman
By late 2009, adherents of fiscal austerity argued that slashing stimulus monies would bolster private sector confidence and encourage spending. Krugman calls this nonsense; the cuts slowed the recovery in the United States and the United Kingdom, he says, and pushed Europe into recession. The justifications for austerity, Krugman states adamantly, almost always derive from prejudice.
A Fantasy
In 1981, President Ronald Reagan passed tax cuts for the rich at the beginning of the second phase of a recession that stretched from 1979 to 1982. At the end of 1982, the economy experienced a growth surge that lasted through 1984. Conservatives in 2020 asserted that Reagan’s tax cuts for the wealthy inspired the boom; Krugman, unsurprisingly, asserts they did no such thing.
Few economic doctrines have been as thoroughly tested, and thoroughly refuted, as the claim that low taxes on the rich accomplish great things for everyone. Yet the doctrine persists.Paul Krugman
Krugman reminds readers that keeping taxes low on the affluent to generate widespread prosperity has never worked, but Republicans love the idea. Wealthy people benefit, and then, Krugman divulges, they invest in conservative politicians, partisan institutes and ideological media platforms. But, Krugman adds, most Americans want the wealthy to pay higher taxes.
Income Inequality
Corporate leaders earn hundreds of times the pay of average workers. Since the end of the 1980s, Krugman relates, the largest share of US wealth has transferred up the income scale.
Almost from the beginning there was a sort of inequality-denial industry…which claimed that inequality wasn’t really rising, or that it didn’t matter.Paul Krugman
He fears that growing inequality reduces people’s sense of community and shared interests.
Conservatives might gain a rich understanding of the liberal economic perspective, but they will find little to agree with here. Krugman’s a seasoned master at making the theoretical abstractions of economics concrete, but he probably won’t convince those readers he regards as “zombies.”
This compilation covers the period from 2000 to 2020, yet some older columns seem as contemporary today as the day they were written. Krugman’s insights prove consistently relevant in a post-pandemic economy. He can be cranky, acerbic, self-righteous and, at times, pompous, but he consistently renders complex economic issues comprehensible to the layperson. That is a great gift. Because this volume offers many, many columns, it can seem wearyingly episodic. But because this volume offers many, many columns, you can pick and choose and skip around as you like.
The prolific Paul Krugman also wrote The Conscience of a Liberal, The Return of Depression Economics and the Crisis of 2008, The Accidental Theorist, The Great Unraveling and End This Depression Now!